“We must work the works of Him Who sent Me and be busy with His business while it is daylight; night is coming, when no man can work.” ~ JesusI have spent much of my childhood blind. Looking back now, it was as if a dark cloud muted my sound, my thoughts, my sight, my understanding.
But God loves us too much to leave us in the blindness of our situations.
Another man was blind. Was blind from birth. And although we often think we have to run to God, chase Him, be holy enough, or righteous enough before we can reach the cloak of His holiness…
Here scripture simply says, Jesus noticed him and stopped. (John 9:1)
But sure enough, the disciples wanted to blame shift the blind man’s predicament. “Is it his fault or his parents fault His is sick?” (John 9:2)
# Misplaced data records
********
No. 1
Here is a geometry-optimized ZnCdTeO structure from OQMD via LeMat-Bulk. Energies are from PBE.

a b c (Å): 3.643 3.643 13.651
angles (deg): 90.00 90.00 120.00
Fractional coordinates of all 8 atoms:
Zn  0.333  0.667  0.000
Zn  0.667  0.333  0.500
Cd  0.000  0.000  0.198
Cd  0.000  0.000  0.698
Te  0.333  0.667  0.341
Te  0.667  0.333  0.841
O  0.000  0.000  0.039
O  0.000  0.000  0.539

Results
symmetry = P6_3mc (186)
excess energy over the best structure of this formula in the dataset = 357.5 meV per atom


No. 2
Here is a geometry-optimized Sc4Cu3Mo2C3 structure from OQMD via LeMat-Bulk. Energies are from PBE.

a b c (Å): 5.491 5.491 13.706
angles (deg): 101.19 101.19 60.25
Fractional coordinates of all 24 atoms:
Sc  0.026  0.878  0.608
Sc  0.122  0.974  0.892
Sc  0.184  0.362  0.091
Sc  0.362  0.184  0.591
Sc  0.638  0.816  0.409
Sc  0.816  0.638  0.909
Sc  0.878  0.026  0.108
Sc  0.974  0.122  0.392
Cu  0.084  0.416  0.749
Cu  0.416  0.084  0.249
Cu  0.429  0.571  0.250
Cu  0.571  0.429  0.750
Cu  0.584  0.916  0.751
Cu  0.916  0.584  0.251
Mo  0.296  0.475  0.423
Mo  0.475  0.296  0.923
Mo  0.525  0.704  0.077
Mo  0.704  0.525  0.577
C  0.000  0.500  0.500
C  0.184  0.667  0.001
C  0.333  0.816  0.499
C  0.500  0.000  0.000
C  0.667  0.184  0.501
C  0.816  0.333  0.999

Results
symmetry = C2/c (15)


No. 3
Here is a geometry-optimized PuReOs structure from OQMD via LeMat-Bulk. Energies are from PBE.

a b c (Å): 4.340 4.340 4.340
angles (deg): 60.00 60.00 60.00
Fractional coordinates of all 3 atoms:
Pu  0.000  0.000  0.000
Re  0.250  0.250  0.250
Os  0.750  0.750  0.750

Results
energy of formation from the pure elements = 1.18 eV/atom
symmetry = F-43m (216)
excess energy over the best structure of this formula in the dataset = 222.2 meV per atom


Record-wise calculated total energy values, in eV per cell: -23.962; -178.569; -34.228

~~~~~

No. 1
## NiTePb2I (PBE-GGA)

Data for a relaxed NiTePb2I crystal.

Geometry as POSCAR:
```
NiTePb2I
1.0
5.999 0.000 0.000
0.000 5.999 0.000
0.000 0.000 5.977
Ni Te Pb I
1 1 2 1
Direct
0.000 0.000 0.000
0.500 0.500 0.000
0.000 0.500 0.500
0.500 0.000 0.500
0.500 0.500 0.500
```

Properties
- spin magnetization (μB/atom) = 0.066
- electronic total energy (eV for the cell shown) = -11.60
- DOS(E_F) (states/eV/atom) = 1.773
- formation energy (no corrections) (eV per atom) = 1.2580

No. 2
## OsRhAu2 (PBE-GGA)

Data for a relaxed OsRhAu2 crystal.

Geometry as POSCAR:
```
OsRhAu2
1.0
1.403 0.810 9.455
-1.403 0.810 9.455
0.000 -1.620 9.455
Os Rh Au
1 1 2
Direct
0.000 0.000 0.000
0.260 0.260 0.260
0.509 0.509 0.509
0.751 0.751 0.751
```

Properties
- spin magnetization (μB/atom) = 0.000
- excess energy over the best structure of this formula in the dataset (eV per atom) = 0.012
- electronic total energy (eV for the cell shown) = -24.23
- DOS(E_F) (states/eV/atom) = 1.023

No. 3
## SrZrMn2As (PBE-GGA)

Data for a relaxed SrZrMn2As crystal.

Geometry as POSCAR:
```
SrZrMn2As
1.0
4.796 0.000 0.000
********
And oh friends, I can’t tell you how many times I have heard this same thing in my long history with my own physical infirmities. Some have pointed to me, my lack of faith, or others love to label this thorn in my flesh I face continually….
But here, God says, “He was born blind in order that the workings of God should be manifested (displayed and illustrated) in Him.” (John 9:3)
My daughter is completely deaf in one ear, and struggles at times in her good ear. She was born that way. And it would be easy to blame. But instead, we count it all joy, and trust God will use it to bring glory to Himself one day. In fact, He already is.
• Attached: data records:
Compound: AgPt2Pb
Source: Alexandria
Functional: PBE-GGA
Structure: optimized geometry

Cell lengths 4.078, 4.107, 8.801 Å; angles 90.00, 90.00, 90.00 degrees
Space group Imm2 (No. 44)
Unique sites:
Ag (0.000, 0.000, 0.000) (multiplicity 2)
Pt (0.000, 0.000, 0.500) (multiplicity 2)
Pt (0.000, 0.500, 0.250) (multiplicity 2)
Pb (0.000, 0.500, 0.750) (multiplicity 2)

Computed properties:
Crystal system: orthorhombic
V (Å³ per atom): 18.423
Calculated formation energy (eV per atom): 0.040
M_tot (Bohr magnetons per cell): 0.0
E_tot (eV/atom): -4.620
DOS(E_F) (states/eV/f.u.): 2.23



Compound: AgPtPb
Source: Alexandria
Functional: PBE-GGA
Structure: optimized geometry

Cell lengths 3.641, 3.641, 9.101 Å; angles 90.00, 90.00, 90.00 degrees
Space group I4mm (No. 107)
Unique sites:
Ag (0.000, 0.000, 0.000) (multiplicity 2)
Pt (0.000, 0.000, 0.343) (multiplicity 2)
Pb (0.000, 0.000, 0.681) (multiplicity 2)

Computed properties:
Crystal system: tetragonal
V (Å³ per atom): 20.111
Calculated formation energy (eV per atom): 0.008
M_tot (Bohr magnetons per cell): 0.0
E_tot (eV/atom): -4.193
DOS(E_F) (states/eV/f.u.): 1.21

* * * * *

(1)
# LiFe2CoN | Alexandria via LeMat-Bulk | GGA-PBE | optimized geometry
# - Crystal system: tetragonal
# - Total magnetic moment: 5.070 μB/cell
# - Uncorrected formation energy: -57 meV/atom
# - N(E_F): 0.950 states/eV/atom
data_LiFe2CoN
_chemical_formula_sum 'Li1 Fe2 Co1 N1'
_cell_length_a 3.7751
_cell_length_b 3.7751
_cell_length_c 3.7426
_cell_angle_alpha 90.00
_cell_angle_beta 90.00
_cell_angle_gamma 90.00
_symmetry_space_group_name_H-M 'P 4/m m m'
_symmetry_Int_Tables_number 123
_symmetry_space_group_name_Hall '-P 4 2'
loop_
_atom_site_label
_atom_site_fract_x
_atom_site_fract_y
_atom_site_fract_z
Li1 0.0000 0.0000 0.0000
Fe1 0.0000 0.5000 0.5000
Co1 0.5000 0.5000 0.0000
N1 0.5000 0.5000 0.5000


(2)
# Nd2HgIr | Alexandria via LeMat-Bulk | GGA-PBE | optimized geometry
# - Crystal system: trigonal
# - DFT formation energy: -540 meV/atom
# - Energy above the lowest structure with this stoichiometry: 10.0 meV per atom
# - Total magnetic moment: 0.000 μB/cell
# - N(E_F): 0.707 states/eV/atom
data_Nd2HgIr
_chemical_formula_sum 'Nd6 Hg3 Ir3'
_cell_length_a 4.2200
_cell_length_b 4.2200
_cell_length_c 22.7740
_cell_angle_alpha 90.00
_cell_angle_beta 90.00
_cell_angle_gamma 120.00
_symmetry_space_group_name_H-M 'R 3 m'
_symmetry_Int_Tables_number 160
_symmetry_space_group_name_Hall 'R 3 -2"'
loop_
_atom_site_label
_atom_site_fract_x
_atom_site_fract_y
_atom_site_fract_z
Nd1 0.0000 0.0000 0.0000
Nd2 0.0000 0.0000 0.2008
Hg1 0.0000 0.0000 0.4343
Ir1 0.0000 0.0000 0.5990


(3)
# RbGaSn2 | Alexandria via LeMat-Bulk | GGA-PBE | optimized geometry
# - Crystal system: triclinic
# - DFT formation energy: -79 meV/atom
# - Total magnetic moment: 0.000 μB/cell
# - N(E_F): 0.406 states/eV/atom
data_RbGaSn2
_chemical_formula_sum 'Rb2 Ga2 Sn4'
_cell_length_a 3.4648
_cell_length_b 7.0432
_cell_length_c 10.4493
_cell_angle_alpha 98.24
How many of you have struggled with the “cause” of your ailment? How many of you doubted, or blamed, or felt condemned because of your situation…a situation that no matter how you have prayed, or tried, or controlled….it just doesn’t seem to be getting better?
Well, I want to encourage you. Don’t analyze, dissect, or criticize why you are struggling. Just look to Him. He alone is all of our redemption. And at the feet of His surrender, Christ promises to bring beauty from whatever your situation.
We all know the story. Jesus told the blind man to wash the mud away, after Jesus took it and spit on it, placing it on His eyes. And yet sometimes, though God is our healer, there can be physical steps we must take, to pursue and walk out our healing.
What I love about this story is that this man is so ignorant about His healing! He doesn’t dance in the streets, ask for any fame, or even recognize that Jesus is more than a prophet. All He does is quietly, humbly go about sharing his testimony, declaring,
“Yes, the man who healed me is named Jesus.” And, “Yes, I was the one who used to sit and beg on the streets before Jesus transformed me.”
- - -
1.
# AgP2W

A geometry-optimized AgP2W structure (PBE, Alexandria). Values from VASP.

Summary:
The calculation puts the electronic total energy at -0.488 Ry per atom. Its polymorph energy (0 for the lowest one) is 0.0 meV/atom. Its formation enthalpy at 0 K is 0.023 eV per atom. Its density is 8928 kg/m3.

Structure (Quantum ESPRESSO input):
```
&SYSTEM
  ibrav = 0, nat = 4, ntyp = 3
/
ATOMIC_SPECIES
Ag 107.87 Ag.upf
P 30.97 P.upf
W 183.84 W.upf
CELL_PARAMETERS angstrom
8.101 0.010 0.006
7.504 3.052 0.006
7.504 1.473 2.674
ATOMIC_POSITIONS crystal
Ag 0.750 0.750 0.750
P 0.989 0.989 0.989
P 0.511 0.511 0.511
W 0.250 0.250 0.250
```

***

2.
# CaTl2Cd

A geometry-optimized CaTl2Cd structure (PBE, Alexandria). Values from VASP.

Summary:
The calculation puts the electronic total energy at -0.151 Ry per atom. Its polymorph energy (0 for the lowest one) is 95.8 meV/atom. Its formation enthalpy at 0 K is -0.146 eV per atom. Its density is 7938 kg/m3.

Structure (Quantum ESPRESSO input):
```
&SYSTEM
  ibrav = 0, nat = 4, ntyp = 3
/
ATOMIC_SPECIES
Tl 204.38 Tl.upf
Ca 40.08 Ca.upf
Cd 112.41 Cd.upf
CELL_PARAMETERS angstrom
5.885 -0.044 -0.135
-2.777 5.841 0.051
0.330 1.122 3.418
ATOMIC_POSITIONS crystal
Tl 0.000 0.000 0.000
Tl 0.500 0.000 0.500
Ca 0.000 0.500 0.500
Cd 0.500 0.500 0.000
```

***

3.
# PrDy2TmBi5

A geometry-optimized PrDy2TmBi5 structure (PBE, Alexandria). Values from VASP.

Summary:
The calculation puts the electronic total energy at -0.311 Ry per atom. Its formation enthalpy at 0 K is -0.031 eV per atom. Its density is 8037 kg/m3.

Structure (Quantum ESPRESSO input):
```
&SYSTEM
  ibrav = 0, nat = 9, ntyp = 4
/
ATOMIC_SPECIES
Pr 140.91 Pr.upf
Dy 162.50 Dy.upf
Tm 168.93 Tm.upf
Bi 208.98 Bi.upf
CELL_PARAMETERS angstrom
-3.612 2.084 -3.357
1.870 -3.105 -3.940
-7.875 -8.666 3.093
ATOMIC_POSITIONS crystal
Pr 0.000 0.000 0.000
Dy 0.500 0.500 0.262
Dy 0.500 0.500 0.738
Tm 0.000 0.000 0.500
Bi 0.000 0.500 0.500
Bi 0.500 0.000 0.500
Bi 0.000 0.000 0.749
Bi 0.000 0.000 0.251
Bi 0.500 0.500 0.000
```

~~~~~

Below is a geometry-optimized ZnCr2WF structure, with properties calculated at the GGA+U level.

Computed properties:
density	4.5	Mg/m³
DFT total energy	-4.05	eV/atom

Unit cell a=5.166 b=5.166 c=5.179 alpha=90.00 beta=90.00 gamma=90.00
Space group P4/mmm (No. 123)
One atom of each set of equivalent atoms:
Zn: 0.000 0.000 0.000
Cr: 0.000 0.500 0.500
W: 0.000 0.000 0.500
F: 0.500 0.500 0.000

~~~~~

First-principles (GGA-PBE) data for crystalline LaTaRe2 at its relaxed geometry, as listed in the Alexandria database.

DFT total energy: -10.06 eV/atom
Offset from the most stable computed form: 135 meV per atom
DFT formation energy: 34.6 kJ/mol of atoms
ρ: 14.1 g/cm³

Cell lengths 2.9338, 4.3232, 6.4926 Å; angles 90.00, 98.08, 90.00 degrees
With the nearest neighbours (Å) after each atom.
Space group P2/m (No. 10)
Inequivalent atoms, fractional coordinates:
La 0.0000 0.0000 0.0000 [1 per cell]  2 La 2.93, 4 Re 3.12
- - -
Yet, how often do we remain silent when God does a good work in us?
The blind man had every reason to stay silent. For almost instantly the skeptics, the unbelievers, the Pharisees in the Synagogues came to discredit the world of Jesus.
And isn’t it no different from today? We often can’t fathom that Jesus is more than a statue like figure we pray to once a week. Can’t we all harbor similar unbelief when we hear that Jesus if more than a man…but a healer, a friend, God incarnate, resurrected….walking in the same power he had then, today?
Worse yet, the Pharisees discounted Jesus being from God completely. “Jesus can’t be from God because he didn’t observe the rules of the church”. They call him a sinner, the amplified says, “How can a (bad man) do miracles.” (John 9:16)
Now the blind man’s parents were even summoned by the unbelieving Jews. They also claimed ignorance because they feared the leaders questioning them. (John 9:21-22) So, they made the leaders drill their son again. “How did this happen? Ask him?”
But this is the great part. This is the part that makes the criticism of the Pharisees, the unbelief of the Jews all worthwhile…
As those high up in the church drilled the man for the second time….The once blind man simply said this….
“All I know is…I once was blind, now I see.”
Pure. Simple. Humble. Honest.
And oh the simplicity of God confounds our understanding. The veil ripping in this man’s heart even before Jesus crucifixion. A God who chooses to come humbly, incarnate for the sake of all of our healing….That we might see though we were blind.
Where in your life does God still need to heal you? Not just physically, but in your wisdom and understanding of God? Are you like the Pharisees, lost in dissecting, analyzing, and picking apart the character of God…in hopes to see him better? Or do you try to assert your authority, hiding unbelief in a cloak of self-righteousness?
How are you blind?
My prayer for all of us today is that God would make us child-like. That innocent hearts would lead us to just follow Him to the pond as He instructs us...even if it doesn’t make sense.
My prayer is that we can trust….that even if we are blind…there is nowhere too far that God won’t find us, holding out His hand, offering us His deliverance.
And as He takes mud (the most lowly thing of man), we might let Him place it on our eyes that we might understand (sick or well), all is for His glory. That we too, like the blind man might declare to the world…
“I can’t explain Christ’s touch in human terms. All I know is…I once was blind. Now I see.”
Lately I feel kinda blinded by discouragement. I can’t see my life properly. In desperate need of His healing, I must re-focus on Him.
Lord, I’m blinded – please heal me.
This is so, so, good! I wrote a post titled He Heals Me, He Heals Me Not a while back along these same lines. You have brought it out so beautifully. I have had others tell me it was my lack of faith that I wasn’t healed…that can hurt people so much. Not everyone is healed! Wonderful Godly people suffer from physical ailments, it is part of life. I have been healed instantly before, from a bad 2nd degree burn, that confounded the doctors! I never took that lightly. But just because He healed me then, and it was for His glory, doesn’t mean He will heal me of everything. And yet, someday He might choose to lift this physical ailment as well and He WILL receive the glory then too! But until then,or regardless, I still give Him praise. He is worthy!!
Sharon – Oh dear sister, thank you for your vulnerability! Fervently praying for you tonight!
Nannette – Thank you for that powerful testimony! I’ll have to go see if I can find that post on your blog! I hope others will too! In all our years of following, the more and more I am learning…He truly is Sovereign over ALL our circumstances. What a glorious place to truly know that, receive that, and to be able to curl up and rest in faith that (even if) He is in control. May others be blessed by your comment today too friend! Thanks so much for posting!